Hobbies to Enjoy As A Family While Quarantined


Is your family going more than a bit crazy due to the quarantine? While social distancing is the new normal for the foreseeable future, you now have the ideal opportunity to adopt a new hobby with your clan. 

Why a family hobby? These activities can help bring you closer together. Additionally, while stay-at-home orders remain the rule of law, they can help you pass the time pleasurably. Consider these ideas. 

Educational Hobbies 

You might think, “Educational hobbies are boring,” but that’s only because you haven’t found your passion. Lose yourself in these ideas and learn something new. 

  • Astronomy: If you have a telescope, you have a leg up on others, but you don’t need such a device to enjoy this hobby. Head out to your porch or balcony once the fireflies wink on in the nighttime sky and take turns identifying the constellations by using free online resources. You can complement your observations with research on NASA’s website or other astronomy sites. 

  • Coin collecting: There’s much more to coin collecting than hoarding money. If you’re new to this hobby, you may need to learn the language before you know what to look for in your search. Once you do, you could find treasure in your castaway change — break open the piggy banks and play sleuth. 

  • Computer programming: Did you think that coding was an esoteric language? Surprise! You can learn how to code for free on many websites today. If you want to advance your knowledge after mastering the basics, you can take courses on sites like Udemy for relatively little money. 

  • Science fair projects: Did you know that you can make a functioning battery with fruits and vegetables? You can find a host of science projects online that you can attempt during this downtime. 

Artistic Hobbies 

Is your family chock-full of budding young Frida Kahlos? If so, consider one of these hobbies. 

  • Drawing/sketching: The best part about this pastime is that it is practically free — all you need is a paper and pencil. You can challenge your family members to drawing contests, or, if you prefer cooperation to competition, to contribute a portion of a larger collage.  

  • Learning an instrument: Has the guitar in your closet or piano in your living room sat collecting dust forever? You can find a ton of free lessons online to master the instrument of your choice during the quarantine. It doesn’t matter if you want to strum the ukulele or bang on the drums all day — a quick Google search will reveal a tutorial. 

  • Painting: You could collect some canvas and dial up the Bob Ross tutorial videos, or you could spread a little cheer. Gather up some rocks and acrylic paint, and design messages of hope like, “Hang in there” or “you’ve got this” and hide them around the neighborhood when you go for a walk. When others emerge to take exercise, you’ll delight them with your act of kindness. 

  • Pottery-making: If you don’t have a wheel or a kiln (who does?), don’t worry. You can learn how to make homemade clay and let the sun dry your creations. Enjoy making bowls and other implements the way human ancestors did. 

Outdoor Hobbies

Unless your jurisdiction has restricted outdoor movement, you can take solo exercise outdoors. Why not enjoy the beautiful spring weather and improve your collective family mood with the following activities. 

  • Golf: Golf is a fun hobby to get into if you are competitive, or if you just fancy a bit of fun. You could set up your own miniature golf course in your garden, or, if you are struggling for outdoor space you could check out a golf simulator (many people came across this website) to play inside.

  • Hiking: There’s no better time to hit the trail because most of them are not crowded. If you live in an area that’s typically crowded with tourists, take advantage of this time to get out in nature’s playground with the family. You can identify the plants and animals you see or merely enjoy a few moments of mindfulness in the great outdoors. 

  • Fishing: Fishing is a useful hobby that can feed your family when money is tight. You will need a rod and a reel. If you don’t have these devices and can’t order them, you can explore local waterways to observe animals like crayfish and salamanders. 

  • Archery: Again, you do need equipment for this hobby, but if your family is competitive, they will love this activity. Pretend you’re Katniss in “The Hunger Games” and let your imagination play while you work your muscles. 

  • Obstacle courses: You can make a backyard obstacle course with ropes, old tires and other household items. Visualize your family competing on “American Ninja Warrior.” 

Homesteading Hobbies 

Finally, some hobbies harness your productivity and get you help around the house. 

### Attached: crystal structures
+++
# 1
Simulated X-ray powder pattern
Compound: Zn7Ag2
Radiation: Cu Kα (weighted mean of Kα1 and Kα2)
Structure: a crystal structure in OQMD, relaxed with PBE
Peak positions follow from Bragg's law for the DFT cell and can differ from measured ones.

Main lines, by angle (5° ≤ 2θ ≤ 70°):
34.92 deg, I = 23
35.45 deg, I = 13
35.96 deg, I = 17
36.17 deg, I = 17
41.30 deg, I = 39
41.60 deg, I = 100
42.05 deg, I = 31
42.20 deg, I = 24
42.90 deg, I = 21
43.49 deg, I = 19
44.07 deg, I = 10
67.41 deg, I = 12

Atomic structure:
```
data_Zn7Ag2
_symmetry_space_group_name_H-M 'P 1'
_symmetry_Int_Tables_number 1
_cell_length_a 5.0657
_cell_length_b 5.0657
_cell_length_c 12.6487
_cell_angle_alpha 90.00
_cell_angle_beta 90.00
_cell_angle_gamma 59.07
loop_
_symmetry_equiv_pos_as_xyz
'x,y,z'
loop_
_atom_site_label
_atom_site_fract_x
_atom_site_fract_y
_atom_site_fract_z
Zn1 0.0314 0.6559 0.5718
Zn2 0.0314 0.6559 0.9282
Zn3 0.1523 0.3237 0.7500
Zn4 0.2022 0.7978 0.7500
Zn5 0.3237 0.1523 0.2500
Zn6 0.3441 0.9686 0.5718
Zn7 0.3441 0.9686 0.9282
Zn8 0.6559 0.0314 0.0718
Zn9 0.6559 0.0314 0.4282
Zn10 0.6763 0.8477 0.7500
Zn11 0.7978 0.2022 0.2500
Zn12 0.8477 0.6763 0.2500
Zn13 0.9686 0.3441 0.0718
Zn14 0.9686 0.3441 0.4282
Ag1 0.3187 0.6813 0.1235
Ag2 0.3187 0.6813 0.3765
Ag3 0.6813 0.3187 0.6235
Ag4 0.6813 0.3187 0.8765
```

=====

# 2
Simulated X-ray powder pattern
Compound: ZrAg
Radiation: Cu Kα (weighted mean of Kα1 and Kα2)
Structure: a crystal structure in OQMD, relaxed with PBE
Peak positions follow from Bragg's law for the DFT cell and can differ from measured ones.

Main lines, by angle (5° ≤ 2θ ≤ 70°):
32.82 deg, I = 7
35.49 deg, I = 22
36.63 deg, I = 31
37.72 deg, I = 100
40.10 deg, I = 15
51.92 deg, I = 14
56.81 deg, I = 7
62.04 deg, I = 7
65.19 deg, I = 7
66.66 deg, I = 17
68.80 deg, I = 5
69.52 deg, I = 8

Atomic structure:
```
data_ZrAg
_symmetry_space_group_name_H-M 'P 1'
_symmetry_Int_Tables_number 1
_cell_length_a 4.9072
_cell_length_b 9.7230
_cell_length_c 5.0594
_cell_angle_alpha 90.00
_cell_angle_beta 90.00
_cell_angle_gamma 90.00
loop_
_symmetry_equiv_pos_as_xyz
'x,y,z'
loop_
_atom_site_label
_atom_site_fract_x
_atom_site_fract_y
_atom_site_fract_z
Zr1 0.0000 0.0837 0.0000
Zr2 0.0000 0.4113 0.9513
Zr3 0.0000 0.5887 0.4513
Zr4 0.0000 0.9163 0.5000
Zr5 0.5000 0.3984 0.3928
Zr6 0.5000 0.6016 0.8928
Ag1 0.0000 0.2385 0.4848
Ag2 0.0000 0.7615 0.9848
Ag3 0.5000 0.0797 0.3880
Ag4 0.5000 0.2368 0.8716
Ag5 0.5000 0.7632 0.3716
Ag6 0.5000 0.9203 0.8880
```

=====

# 3
Simulated X-ray powder pattern
Compound: AlCu2As
Radiation: Cu Kα (weighted mean of Kα1 and Kα2)
Structure: a crystal structure in OQMD, relaxed with PBE
Peak positions follow from Bragg's law for the DFT cell and can differ from measured ones.

Main lines, by angle (5° ≤ 2θ ≤ 70°):
14.44 deg, I = 2
25.15 deg, I = 3
29.12 deg, I = 2
32.65 deg, I = 9
41.66 deg, I = 100
44.31 deg, I = 3
49.28 deg, I = 1
60.38 deg, I = 15
62.44 deg, I = 3
66.45 deg, I = 1

Atomic structure:
```
data_AlCu2As
+++

  • Cooking: You need to eat, so get the family involved with creating healthy meals out of the ingredients your store still stocks. Pretend you are competing on a combination of “Survivor” and “Chopped.”

  • Gardening: In most parts of the country, planting season comes soon. You can start indoors by saving the seeds from your produce and skipping the trip to the nursery — which is probably closed anyway. 

  • Building crafts: What better time to build a better birdhouse? If you have a budding craftsman in your crew, learn some home improvement skills during this downtime. 

  • Knitting or sewing: Now is the perfect time to Facetime with your auntie and have her give you a tutorial on how to knit a hat or booties. You can also clean your closets, gather torn garments and repair them while you wait for the country to reopen.

Adopt a New Family Hobby During Quarantine 

Family hobbies help you bond as a unit, as well as pass the quarantine more enjoyably. Take a hint from this list and embark on a new pastime today!